A:"MJ,(she was the Boy's opening act), She came out at 8:00pm and was off at 8:30. Then they let the fans throw anything they wanted to give to the Boys on stage." (Reminder!! Don't throw flowers on the stage!! The Boys might slip on the water!!)
Q: What was it like waiting in line?
A:" Oh my God!!! There was pushing and shoving, lots of screaming. Oh Boy! It was very boring. The anticipation was high. Some girls thought that they saw Nick and Howie, and started screaming. There was alot of banging on the glass doors...If you don't want too stand around, don't come until 7:00pm, because that's when they let you in."
Q: You are in the Stadium, in your seat, and the Boys come out; What happened at that moment and throughout the rest of the concert?
### Between two parts of the article: crystal structures
+++
No. 1
NbCo3H: relaxed, PBE-GGA.

Cell: 5.2572 5.2572 5.1564 Å, 119.33 119.33 92.14°
Positions (direct):
Nb  0.2316  0.7684  0.0000
Nb  0.7684  0.2316  0.0000
Co  0.2482  0.7518  0.5000
Co  0.2499  0.2499  0.5043
Co  0.2499  0.2499  0.9955
Co  0.7501  0.7501  0.0045
Co  0.7501  0.7501  0.4957
Co  0.7518  0.2482  0.5000
H  0.5000  0.5000  0.0000
H  0.5000  0.5000  0.5000

Properties
- energy above the lowest structure with this stoichiometry (meV/atom) = 29
- DOS(E_F) (states/eV per cell) = 3.5

No. 2
Nb2CoH4: relaxed, PBE-GGA.

Cell: 3.0831 3.0831 11.7619 Å, 90.00 90.00 90.00°
Positions (direct):
Nb  0.0000  0.0000  0.1534
Nb  0.0000  0.0000  0.8466
Nb  0.5000  0.5000  0.3466
Nb  0.5000  0.5000  0.6534
Co  0.0000  0.0000  0.5000
Co  0.5000  0.5000  0.0000
H  0.0000  0.0000  0.3350
H  0.0000  0.0000  0.6650
H  0.0000  0.5000  0.0000
H  0.0000  0.5000  0.5000
H  0.5000  0.0000  0.0000
H  0.5000  0.0000  0.5000
H  0.5000  0.5000  0.1650
H  0.5000  0.5000  0.8350

Properties
- energy above the lowest structure with this stoichiometry (meV/atom) = 0
- DOS(E_F) (states/eV per cell) = 6.2

No. 3
NbCo6H3: relaxed, PBE-GGA.

Cell: 5.1499 5.1499 5.1499 Å, 59.37 59.37 59.37°
Positions (direct):
Nb  0.0000  0.0000  0.0000
Co  0.0029  0.5152  0.4853
Co  0.0674  0.5047  0.9315
Co  0.4853  0.0029  0.5152
Co  0.5047  0.9315  0.0674
Co  0.5152  0.4853  0.0029
Co  0.9315  0.0674  0.5047
H  0.2409  0.2409  0.2409
H  0.4075  0.4075  0.4075
H  0.7451  0.7451  0.7451

Properties
- VASP energy (eV per atom) = -6.09
- DOS(E_F) (states/eV per cell) = 9.3

No. 4
NbCo3H: relaxed, PBE-GGA.

Cell: 4.1425 4.1425 7.3757 Å, 90.00 90.00 120.00°
Positions (direct):
Nb  0.3333  0.6667  0.2500
Nb  0.6667  0.3333  0.7500
Co  0.0000  0.0000  0.2500
Co  0.0000  0.0000  0.7500
Co  0.3333  0.6667  0.5826
Co  0.3333  0.6667  0.9174
Co  0.6667  0.3333  0.0826
Co  0.6667  0.3333  0.4174
H  0.0000  0.0000  0.0000
H  0.0000  0.0000  0.5000

Properties
- energy above the lowest structure with this stoichiometry (meV/atom) = 544
- DOS(E_F) (states/eV per cell) = 11.8

----------

(w)
# ScIn2Te2 | Alexandria via LeMat-Bulk | PBE-GGA | optimized geometry
data_ScIn2Te2
_cell_length_a 7.745
_cell_length_b 7.745
_cell_length_c 5.070
_cell_angle_alpha 90.00
_cell_angle_beta 90.00
_cell_angle_gamma 90.00
_symmetry_space_group_name_H-M 'P 4/m b m'
_symmetry_Int_Tables_number 127
_symmetry_space_group_name_Hall '-P 4 2ab'
loop_
_atom_site_label
_atom_site_type_symbol
_atom_site_fract_x
_atom_site_fract_y
_atom_site_fract_z
Sc1 Sc 0.000 0.000 0.000
In1 In 0.148 0.352 0.500
Te1 Te 0.172 0.672 0.000
# Total moment ... 0.0000 μB per atom
# Theoretical density ... 5.8 g/cm³
# DOS at the Fermi energy ... 0.889 states/eV per atom



(x)
# ScIn2Te2 | Alexandria via LeMat-Bulk | PBE-GGA | optimized geometry
data_ScIn2Te2
_cell_length_a 8.045
_cell_length_b 8.045
_cell_length_c 4.352
_cell_angle_alpha 90.00
_cell_angle_beta 90.00
_cell_angle_gamma 90.00
_symmetry_space_group_name_H-M 'P 4/m b m'
+++
A:" OH MY GOD!!!! Basically your eyes are glued to the stage, as soon as they come out. Somebody just said " Let's hear it for the Backstreet Boys!", and the curtain pulled away, then you could see the stage..One minute the Boys weren't there, the next they are..They came shooting up with sparklers. (The Pyrotechnics). The song they came out with was "That's the way I like it", then "I wanna be with you". Near the end of that song Howie disappeared. Then Howie came back and did his solo..the song..was "Give me your heart"..I think it's different than the one on the CD(On Qiut Playng Games Single)...And he handed out roses during the song...Then he told everyone in Toronto that " Even when I'm not in Toronto, You guys are always in my heart. " After Howie came Kevin, he sang "Nobody but you", (It's on the Quit playing Games single). He had lots of audience participation.
"AJ, he did "Lay down beside me" (too appear on the 3rd album.) He didn't do too much but walk around. After AJ, came Brain and he performed "That's what she said", while playing the guitar. Then came Nick. I don't know what the name of the song he did was, because his fans were screaming so much that I missed the name.(After the solo's),they did "Let's have a party". I think they did "I'll never break your heart", next. During this song Brian got hit in the head with a box of Kraft Dinner. Howie started laughing and almost couldn't continue singing. Brian picked up the box and looked at howie, and motioned that he got hit in the head.(Canadian Fans Have A Riot When Brian Is Hit In Head With Kraft Dinner). Brian quickly found the camera that was putting them on the big screens, held up the box of Kraft Dinner and did his trade mark grin.
"Hey Mister DJ" was next, and then "Quit playing games(with my heart)". They thanked us for making this song #1 in Canada, and then the band started playing, and the boys started dancing. Then all of a sudden the band started playing too slow, so Howie said, " Hey! Woh!!! Wait a minute!! Let's try this again. Sorry Toronto! " Then the band started playing again, this time too fast, while Nick and the others tried too keep up with the dance moves. So, Howie stopped them again, " Woh!!! Wait a minute!!! What are you guys doing??" Then one of the boys mentioned that it must have been the fact that they were on vacation too long. Then one of the band members said " If you don't like the way we're playing, come and play it yourself!!" So, each of the Boys took an instrument. Nick on drums, Howie on guitar, AJ ont the Bass guitar, Kevin on keyboards, and Brian on the Bongo drums. And then they just performed the song. When they were finished, the instruments were given back too their rightful players.
I think "Anywhere for you" came next, which the Boys dedicated to the Toronto fans. Then after that was "All I have too give", then "As long as you love me". At the near end of the comcert, they introduced themselves. They didn't give any special message, although Kevin, in between stuff, was always saying " We love you!!!... We love you Toronto.!!!" Plus they wished us a Happy 1998, and a happy New Year. Then there was the encore performance, which was a combination of "We've got it goin' on", "Get Down", and "Everybody(Backstreet's Back)".
Q: What noteable things happened in the concert?
Inserted here: crystal structures:
- - -
Record 1
K2ZrCd | the Alexandria database | meta-GGA SCAN | single point on PBEsol structure; formation energy from the elements = 0.33 eV/atom; space group = Pm
1.0
3.5297 0.0000 0.0000
0.0000 3.5262 0.0000
-0.0339 0.0000 11.4105
K Zr Cd
2 1 1
direct
0.0000 0.0000 0.0000 K
0.4939 0.5000 0.3626 K
0.9966 0.0000 0.6365 Zr
0.4977 0.5000 0.7714 Cd

---

Record 2
KZrCd2 | the Alexandria database | meta-GGA SCAN | single point on PBEsol structure; formation energy from the elements = 0.33 eV/atom; polymorph energy (0 for the lowest one) = 0.1107 eV per atom; space group = Fm-3m
1.0
7.3500 0.0000 0.0000
0.0000 7.3500 0.0000
0.0000 0.0000 7.3500
K Zr Cd
4 4 8
direct
0.0000 0.0000 0.0000 K
0.0000 0.5000 0.5000 K
0.5000 0.0000 0.5000 K
0.5000 0.5000 0.0000 K
0.0000 0.0000 0.5000 Zr
0.0000 0.5000 0.0000 Zr
0.5000 0.0000 0.0000 Zr
0.5000 0.5000 0.5000 Zr
0.2500 0.2500 0.2500 Cd
0.2500 0.2500 0.7500 Cd
0.2500 0.7500 0.2500 Cd
0.2500 0.7500 0.7500 Cd
0.7500 0.2500 0.2500 Cd
0.7500 0.2500 0.7500 Cd
0.7500 0.7500 0.2500 Cd
0.7500 0.7500 0.7500 Cd

---

Record 3
La3Cd | the Alexandria database | meta-GGA SCAN | single point on PBEsol structure; formation energy from the elements = -0.19 eV/atom; space group = Pmmn
1.0
5.5303 0.0000 0.0000
0.0000 7.0737 0.0000
0.0000 0.0000 6.1445
La Cd
6 2
direct
0.2500 0.0016 0.1824 La
0.2500 0.4984 0.1824 La
0.2500 0.7500 0.6266 La
0.7500 0.2500 0.3734 La
0.7500 0.5016 0.8176 La
0.7500 0.9984 0.8176 La
0.2500 0.2500 0.6886 Cd
0.7500 0.7500 0.3114 Cd

---

Record 4
LaCd | the Alexandria database | meta-GGA SCAN | single point on PBEsol structure; formation energy from the elements = -0.19 eV/atom; space group = P4/nmm
1.0
3.5309 0.0000 0.0000
0.0000 3.5309 0.0000
0.0000 0.0000 8.9552
La Cd
2 2
direct
0.2500 0.2500 0.1577 La
0.7500 0.7500 0.8423 La
0.2500 0.2500 0.5921 Cd
0.7500 0.7500 0.4079 Cd

---

Record 5
LaCd | the Alexandria database | meta-GGA SCAN | single point on PBEsol structure; formation energy from the elements = -0.39 eV/atom; space group = P4/nmm
1.0
4.8772 0.0000 0.0000
0.0000 4.8772 0.0000
0.0000 0.0000 4.6512
La Cd
2 2
direct
0.2500 0.2500 0.0268 La
0.7500 0.7500 0.9732 La
0.2500 0.7500 0.5000 Cd
0.7500 0.2500 0.5000 Cd

---

Record 6
LaCd2 | the Alexandria database | meta-GGA SCAN | single point on PBEsol structure; formation energy from the elements = -0.37 eV/atom; space group = P6_3/mmc
1.0
5.2776 0.0000 0.0000
-2.6388 4.5705 0.0000
0.0000 0.0000 6.5581
La Cd
2 4
direct
0.3333 0.6667 0.2500 La
0.6667 0.3333 0.7500 La
0.0000 0.0000 0.0000 Cd
0.0000 0.0000 0.5000 Cd
0.3333 0.6667 0.7500 Cd
0.6667 0.3333 0.2500 Cd

---

Record 7
LaCd | the Alexandria database | meta-GGA SCAN | single point on PBEsol structure; formation energy from the elements = -0.09 eV/atom; space group = Fm-3m
1.0
6.4464 0.0000 0.0000
0.0000 6.4464 0.0000
0.0000 0.0000 6.4464
La Cd
4 4
direct
0.0000 0.0000 0.0000 La
0.0000 0.5000 0.5000 La
0.5000 0.0000 0.5000 La
0.5000 0.5000 0.0000 La
0.0000 0.0000 0.5000 Cd
0.0000 0.5000 0.0000 Cd
- - -
A:" Nick was the only one to use a hand held mic in the concert with the song, Let's have a party. Brain did his trade mark noises throughout the whole concert. I was watching AJ throughout Let's have a party, too see if he'd bounce on the ground (like he did in the Live Aus Frankfurt Concert Video, If you missed it, watch it closely!), but he didn't.
Q: What did you think of AJ's fro?
A:" I didn;t like it too much, but one scary fact... He actually managed too still look hot with it.."If you don't know, Grow a Fro!" ( From the MuchMusic Intimate and Interactive, which really wasn't either of the two, but just another concert, without the solo's, held at the MuchMusic building the next evening, Jan 4th, at 7:00pm. I was disappointed!)
Q: What was it like seeing the guys Live?
A:" Constant Excitement!!! When you're sitting there and they come out om stage it's like wow! I'm actually in the same building with them. It helps you realize that they are human beings too, and deserve too be treated that way. Plus, it helps you too realize that they're just like you and me. When you go and see them Live, afterwards you'll have a totally new outlook on them."
Q: If you had the chance to go another concert, would you?
A:" Definately!!!!! Only next time I hope I can be on the floor, by the stage... If you get the chance too see a concert, do so, you'll be glad you did."
Q: Any last words too the Backstreet Boys themselves?
A:" I enjoyed the show very much. You guys taking over the instruments, I feel, was a much needed part of the show, to prove that you guys can do much more than sing and dance, which us fans have known all along. Keep up the good work. I Love you all. Sue McClennon. (PS: AJ, I love you best!)
Would you like to get in touch with Sue? If so, you can e-mail her at: ajs_1_girl@hotmail.com . Sue would be happy to hear from you. You can also check out her BSB Heaven web site at: www.angelfire.com/me/bsbfunky/index.com.